Job
Count the lines below that contain the word "single" and give the number alone, please.

Input
'''
Computed, not measured: a single C6H10O molecule, with ωB97M-V/def2-TZVPD.

Its multiplicity is 1. As for the structure (SMILES): C[C@H]1CC[C@H]2O[C@@H]12. Its total charge is 0. The total energy comes out at -8430.776 eV. As for the LUMO energy: 1.14 eV. Its HOMO-LUMO gap is 11.114 eV.

XYZ file:
```
17
Properties=species:S:1:pos:R:3:forces:R:3:nbo_charge:R:1
O 1.727 -0.342 0.564 0.2 -0.1 -0.1 -0.502
C 0.194 1.166 -1.691 0.0 0.0 0.0 -0.603
C -0.889 -0.712 -0.322 0.0 0.0 -0.1 -0.399
C 0.768 0.699 0.746 -0.1 0.2 0.0 0.054
C 0.684 -0.539 1.516 -0.1 -0.1 0.2 0.054
C -0.429 -1.409 0.981 0.0 0.0 0.0 -0.430
C -0.311 0.728 -0.318 0.0 0.0 0.0 -0.242
H -1.981 -0.693 -0.402 0.2 0.0 0.0 0.213
H -1.239 -1.479 1.715 0.1 0.0 -0.1 0.208
H 0.999 -0.614 2.556 0.0 0.0 -0.2 0.191
H 0.601 2.183 -1.668 -0.1 -0.1 0.0 0.208
H -0.615 1.143 -2.430 0.1 0.0 0.1 0.209
H -1.075 1.437 0.031 0.1 -0.1 -0.1 0.203
H -0.063 -2.424 0.792 -0.1 0.1 0.1 0.219
H 1.164 1.626 1.160 -0.1 -0.2 -0.1 0.192
H -0.519 -1.257 -1.197 0.0 0.1 0.1 0.209
H 0.985 0.490 -2.034 -0.1 0.1 0.1 0.215
```
Positions in Å, forces in eV/Å.
'''

Result
1